Job =
Retype only the last part of the rows underneath, starting with the line that has "C3H4BrNO at", please.

Contents =
/*
No. 1
ORCA calculation (ωB97M-V with the def2-TZVPD basis set) on a cluster of 2 separate species, C3H4BrN in total at a distorted geometry.

Structure (XYZ):
```
9
Properties=species:S:1:pos:R:3:nbo_charge:R:1
C -0.560 1.720 -0.682 0.067
C 0.082 -1.507 -0.295 -0.458
C 1.188 -1.156 0.360 -0.228
N -0.241 2.817 -0.698 -0.312
Br 2.244 0.443 0.075 0.047
H -0.729 0.635 -0.678 0.226
H -0.166 -0.980 -1.190 0.204
H -0.459 -2.437 0.102 0.240
H 1.599 -1.718 1.180 0.215
```

Computed properties:
HOMO: -0.372 hartree
Structure (SMILES): C=CBr.C#N
Energy: -74706.35621 eV
Maximum force: 2.08 eV Å⁻¹
HOMO-LUMO gap: 0.4018 hartree

***

No. 2
ORCA calculation (ωB97M-V with the def2-TZVPD basis set) on the molecule C3H4BrNO at a distorted geometry.

Structure (XYZ):
```
10
Properties=species:S:1:pos:R:3:nbo_charge:R:1
C -0.106 0.834 1.638 -0.322
C 0.012 -0.080 0.651 -0.186
C 0.037 0.339 -0.812 0.624
N 0.151 -0.766 -1.608 -0.829
O -0.073 1.480 -1.205 -0.575
Br -0.104 -1.971 0.970 0.048
H -0.101 0.721 2.708 0.211
H -0.208 1.860 1.580 0.224
H 0.504 -1.698 -1.389 0.412
H -0.112 -0.719 -2.534 0.393
```

Computed properties:
HOMO: -0.363 hartree
Structure (SMILES): C=C(Br)C(N)=O
Energy: -76755.04703 eV
Maximum force: 2.75 eV Å⁻¹
HOMO-LUMO gap: 0.3738 hartree

***

No. 3
ORCA calculation (ωB97M-V with the def2-TZVPD basis set) on the molecule C3H4BrO2P at a distorted geometry.

Structure (XYZ):
```
11
Properties=species:S:1:pos:R:3:nbo_charge:R:1
C -0.749 1.279 -0.961 0.090
C 0.800 0.200 0.431 0.171
C -1.128 -1.429 0.405 -0.264
O 0.289 1.313 -0.217 -0.489
O 0.114 -0.891 0.970 -0.520
P 2.442 -0.055 0.256 0.534
Br 3.188 1.869 -0.567 -0.225
H -0.684 2.346 -1.430 0.087
H -1.235 -1.152 -0.623 0.223
H -1.965 -0.988 0.929 0.188
H -1.072 -2.491 0.807 0.205
```

Computed properties:
HOMO: -0.326 hartree
Energy: -86597.02890 eV
Maximum force: 2.57 eV Å⁻¹
HOMO-LUMO gap: 0.3098 hartree

***

No. 4
ORCA calculation (ωB97M-V with the def2-TZVPD basis set) on a structure of composition C3H4BrO3Zr at a distorted geometry.

Structure (XYZ):
```
12
Properties=species:S:1:pos:R:3:nbo_charge:R:1
Zr 5.769 -15.120 -3.224 2.157
Br 5.374 -16.834 -1.113 -0.246
C 3.848 -21.467 -2.109 -0.125
C 5.166 -20.763 -2.159 -0.114
O 5.637 -20.967 -3.427 -0.325
C 4.921 -21.803 -4.056 0.939
O 5.057 -22.141 -5.209 -0.205
O 3.892 -22.262 -3.280 -0.254
H 2.982 -20.810 -2.189 0.289
H 3.876 -22.168 -1.275 0.334
H 5.934 -21.178 -1.506 0.313
H 5.170 -19.712 -1.871 0.235
```

Computed properties:
HOMO: -0.757 hartree
Total charge: +3
Energy: -80597.68010 eV
Maximum force: 4.10 eV Å⁻¹
HOMO-LUMO gap: 0.0793 hartree

***

No. 5
ORCA calculation (ωB97M-V with the def2-TZVPD basis set) on the molecule C3H4Cl2 at a distorted geometry.

Structure (XYZ):
```
9
Properties=species:S:1:pos:R:3:nbo_charge:R:1
C 1.000 0.315 0.108 -0.426
C -0.358 0.453 -0.474 -0.237
C -1.268 -0.287 0.250 -0.225
H 0.964 0.416 1.171 0.213
H 1.727 1.059 -0.318 0.222
H -0.346 0.733 -1.502 0.217
H -0.797 -0.608 1.151 0.200
Cl 1.804 -1.197 -0.204 -0.051
Cl -2.726 -0.885 -0.183 0.088
```

Computed properties:
HOMO: -0.349 hartree
Structure (SMILES): Cl/C=C/CCl
Energy: -28219.44187 eV
Maximum force: 4.72 eV Å⁻¹
HOMO-LUMO gap: 0.3733 hartree

***

No. 6
ORCA calculation (ωB97M-V with the def2-TZVPD basis set) on a cluster of 3 separate species, C3H4Cl2FNO in total at a distorted geometry.

Structure (XYZ):
```
12
Properties=species:S:1:pos:R:3:nbo_charge:R:1
C 0.306 -0.358 -1.014 0.858
C 2.244 -0.986 0.433 -0.410
C -1.625 2.433 -1.061 0.230
N 1.414 -0.376 -0.625 -0.535
O -0.700 -0.464 -1.602 -0.559
F -2.401 3.550 -0.835 -0.350
Cl -2.319 -0.455 1.949 -0.247
Cl -2.472 1.392 -1.947 0.127
H 2.187 -2.113 0.180 0.214
H 3.243 -0.659 0.345 0.210
H 1.983 -0.649 1.490 0.215
H -1.860 -1.315 2.686 0.247
```

Computed properties:
HOMO: -0.359 hartree
Energy: -34472.09302 eV
Maximum force: 3.32 eV Å⁻¹
HOMO-LUMO gap: 0.3521 hartree

~~~~~
*/

Response =
ORCA calculation (ωB97M-V with the def2-TZVPD basis set) on the molecule C3H4BrNO at a distorted geometry.

Structure (XYZ):
```
10
Properties=species:S:1:pos:R:3:nbo_charge:R:1
C -0.106 0.834 1.638 -0.322
C 0.012 -0.080 0.651 -0.186
C 0.037 0.339 -0.812 0.624
N 0.151 -0.766 -1.608 -0.829
O -0.073 1.480 -1.205 -0.575
Br -0.104 -1.971 0.970 0.048
H -0.101 0.721 2.708 0.211
H -0.208 1.860 1.580 0.224
H 0.504 -1.698 -1.389 0.412
H -0.112 -0.719 -2.534 0.393
```

Computed properties:
HOMO: -0.363 hartree
Structure (SMILES): C=C(Br)C(N)=O
Energy: -76755.04703 eV
Maximum force: 2.75 eV Å⁻¹
HOMO-LUMO gap: 0.3738 hartree

***

No. 3
ORCA calculation (ωB97M-V with the def2-TZVPD basis set) on the molecule C3H4BrO2P at a distorted geometry.

Structure (XYZ):
```
11
Properties=species:S:1:pos:R:3:nbo_charge:R:1
C -0.749 1.279 -0.961 0.090
C 0.800 0.200 0.431 0.171
C -1.128 -1.429 0.405 -0.264
O 0.289 1.313 -0.217 -0.489
O 0.114 -0.891 0.970 -0.520
P 2.442 -0.055 0.256 0.534
Br 3.188 1.869 -0.567 -0.225
H -0.684 2.346 -1.430 0.087
H -1.235 -1.152 -0.623 0.223
H -1.965 -0.988 0.929 0.188
H -1.072 -2.491 0.807 0.205
```

Computed properties:
HOMO: -0.326 hartree
Energy: -86597.02890 eV
Maximum force: 2.57 eV Å⁻¹
HOMO-LUMO gap: 0.3098 hartree

***

No. 4
ORCA calculation (ωB97M-V with the def2-TZVPD basis set) on a structure of composition C3H4BrO3Zr at a distorted geometry.

Structure (XYZ):
```
12
Properties=species:S:1:pos:R:3:nbo_charge:R:1
Zr 5.769 -15.120 -3.224 2.157
Br 5.374 -16.834 -1.113 -0.246
C 3.848 -21.467 -2.109 -0.125
C 5.166 -20.763 -2.159 -0.114
O 5.637 -20.967 -3.427 -0.325
C 4.921 -21.803 -4.056 0.939
O 5.057 -22.141 -5.209 -0.205
O 3.892 -22.262 -3.280 -0.254
H 2.982 -20.810 -2.189 0.289
H 3.876 -22.168 -1.275 0.334
H 5.934 -21.178 -1.506 0.313
H 5.170 -19.712 -1.871 0.235
```

Computed properties:
HOMO: -0.757 hartree
Total charge: +3
Energy: -80597.68010 eV
Maximum force: 4.10 eV Å⁻¹
HOMO-LUMO gap: 0.0793 hartree

***

No. 5
ORCA calculation (ωB97M-V with the def2-TZVPD basis set) on the molecule C3H4Cl2 at a distorted geometry.

Structure (XYZ):
```
9
Properties=species:S:1:pos:R:3:nbo_charge:R:1
C 1.000 0.315 0.108 -0.426
C -0.358 0.453 -0.474 -0.237
C -1.268 -0.287 0.250 -0.225
H 0.964 0.416 1.171 0.213
H 1.727 1.059 -0.318 0.222
H -0.346 0.733 -1.502 0.217
H -0.797 -0.608 1.151 0.200
Cl 1.804 -1.197 -0.204 -0.051
Cl -2.726 -0.885 -0.183 0.088
```

Computed properties:
HOMO: -0.349 hartree
Structure (SMILES): Cl/C=C/CCl
Energy: -28219.44187 eV
Maximum force: 4.72 eV Å⁻¹
HOMO-LUMO gap: 0.3733 hartree

***

No. 6
ORCA calculation (ωB97M-V with the def2-TZVPD basis set) on a cluster of 3 separate species, C3H4Cl2FNO in total at a distorted geometry.

Structure (XYZ):
```
12
Properties=species:S:1:pos:R:3:nbo_charge:R:1
C 0.306 -0.358 -1.014 0.858
C 2.244 -0.986 0.433 -0.410
C -1.625 2.433 -1.061 0.230
N 1.414 -0.376 -0.625 -0.535
O -0.700 -0.464 -1.602 -0.559
F -2.401 3.550 -0.835 -0.350
Cl -2.319 -0.455 1.949 -0.247
Cl -2.472 1.392 -1.947 0.127
H 2.187 -2.113 0.180 0.214
H 3.243 -0.659 0.345 0.210
H 1.983 -0.649 1.490 0.215
H -1.860 -1.315 2.686 0.247
```

Computed properties:
HOMO: -0.359 hartree
Energy: -34472.09302 eV
Maximum force: 3.32 eV Å⁻¹
HOMO-LUMO gap: 0.3521 hartree

~~~~~